(Wanted)
Give back all of the data below with every line break kept.

(Input)
-- begin --
Entry 1:
PBE In2Bi4Pb4Se13, optimized geometry; size of the total moment = 0.02 Bohr magnetons per cell; energy relative to the elements = -16.79 eV per formula unit; total energy = -4.001 eV/atom; SG = Pbam, No. 55
1.0
-0.113 -1.122 -4.045
22.555 -2.987 0.197
-3.610 -26.769 7.524
In Bi Pb Se
8 16 16 52
Cartesian
3.858 -9.746 2.594
15.088 -20.009 5.126
3.168 -23.278 6.366
15.778 -6.477 1.354
-1.805 -13.384 3.762
11.278 -1.493 0.098
0.000 0.000 0.000
9.473 -14.878 3.860
1.678 -13.764 1.590
17.154 -17.113 2.085
4.244 -27.727 5.390
14.589 -3.150 -1.715
-0.064 -4.214 1.170
19.010 -25.541 6.550
8.418 -18.960 5.022
10.528 -10.795 2.699
7.701 -3.953 0.881
11.245 -25.802 6.840
0.995 -16.689 4.600
17.951 -13.066 3.121
7.120 -12.838 1.181
11.712 -18.039 2.494
-0.762 -25.417 4.889
19.595 -5.460 -1.215
-0.568 -9.874 0.574
19.400 -21.003 3.101
7.442 -24.558 4.421
11.391 -6.319 -0.747
7.445 -8.347 -0.074
11.387 -22.530 3.749
0.114 -20.999 3.640
18.718 -9.878 0.035
2.903 -7.093 -0.294
15.930 -23.784 3.969
4.830 -20.972 3.500
14.003 -9.905 0.175
3.891 -3.073 -1.437
14.942 -27.803 5.111
4.941 -16.836 2.350
13.891 -14.041 1.325
5.982 -5.375 -0.857
12.850 -25.502 4.532
2.313 -18.513 2.889
16.519 -12.364 0.786
2.882 -4.249 1.097
16.063 -25.506 6.623
5.566 -18.227 4.898
13.380 -11.528 2.822
9.617 -3.187 -1.565
9.216 -27.689 5.240
-0.614 -15.456 2.123
19.446 -15.421 1.552
-0.247 -6.587 -0.346
19.079 -24.290 4.021
8.003 -21.303 3.503
10.829 -9.574 0.172
7.638 -10.333 2.651
11.308 -19.423 5.069
-0.635 -22.861 6.357
19.581 -6.895 1.364
6.847 -14.315 3.778
12.099 -15.440 3.942
-0.927 -26.909 7.488
19.873 -2.846 0.233
1.597 -8.420 2.290
17.349 -21.335 5.430
5.701 -22.587 6.103
13.245 -7.168 1.617
5.219 -7.614 1.965
13.726 -22.141 5.755
2.419 -20.867 5.718
16.527 -8.889 2.002
6.177 -1.411 0.218
12.769 -28.344 7.502
3.139 -14.632 3.969
15.807 -15.123 3.751
9.240 -6.295 1.487
9.706 -23.461 6.234
-1.111 -18.547 5.174
20.056 -11.208 2.546
-0.118 -2.471 -1.491
18.951 -28.406 5.166
8.970 -17.297 2.365
9.863 -13.580 1.309
4.063 -11.874 0.999
14.769 -19.003 2.676
2.443 -25.283 4.762
16.390 -5.594 -1.088
0.222 -11.711 3.241
18.724 -18.044 4.479
6.156 -26.120 7.070
12.790 -3.635 0.650

Entry 2:
PBE In4Bi3S10, optimized geometry; size of the total moment = 0.01 Bohr magnetons per cell; energy relative to the elements = -12.51 eV per formula unit; total energy = -4.207 eV/atom; SG = P1, No. 1
1.0
-2.147 -7.258 -1.709
6.652 -4.008 8.773
-15.279 2.339 9.263
In Bi S
16 12 40
Cartesian
-0.195 -4.414 1.444
-1.493 -3.849 9.515
-2.567 -7.499 8.706
-4.613 -3.968 14.163
-5.643 -7.660 13.257
-9.234 -8.866 14.146
-5.008 -5.135 10.409
-8.138 -5.255 15.055
0.982 -6.267 7.862
-1.275 -8.045 0.573
-6.172 -8.672 9.590
-0.088 -9.897 6.997
4.650 -5.184 7.442
3.576 -8.809 6.590
-0.820 -3.017 5.087
-1.888 -6.657 4.243
-8.087 -2.708 11.320
-8.951 -5.641 10.633
-4.663 -2.286 6.876
-5.781 -5.853 5.941
-11.630 -2.778 8.878
-12.214 -1.529 13.128
-13.298 -5.175 12.268
-4.076 -3.561 2.666
-12.642 -6.470 8.214
-5.138 -7.155 1.828
-8.188 -2.253 4.452
-7.284 0.676 5.215
-2.139 -7.261 -1.698
-11.471 -6.081 5.041
-11.256 -3.516 11.522
-0.631 -6.271 9.966
0.053 -3.797 7.351
-1.027 -7.436 6.516
0.424 -2.664 10.811
2.779 -6.356 5.960
-6.994 -3.547 6.574
-2.528 -1.407 9.200
-7.607 -8.814 11.849
-13.198 -0.677 10.756
-14.278 -4.328 9.893
-3.090 -4.418 5.033
-5.048 -1.562 4.249
-6.190 -5.161 3.364
1.442 -1.522 4.696
-3.094 -3.997 11.867
-4.204 -7.599 10.992
-12.226 -7.199 10.758
-3.538 -5.041 8.309
-9.013 -2.842 14.598
-10.064 -6.437 13.759
1.717 -9.982 5.099
-1.066 -3.643 -0.820
-1.387 -2.288 2.686
-2.458 -5.921 1.830
-4.162 -8.031 4.193
-5.926 0.001 7.442
-10.413 -2.382 5.864
-5.862 -2.687 9.925
-6.957 -6.220 9.047
-12.746 -0.045 7.481
-13.768 -3.682 6.602
-9.292 -1.509 9.206
-10.355 -5.069 8.369
-6.567 -5.171 12.680
0.373 -5.159 3.843
2.851 -5.092 9.338
1.771 -8.726 8.487

Entry 3:
-- stop --

(Written answer)
Entry 1:
PBE In2Bi4Pb4Se13, optimized geometry; size of the total moment = 0.02 Bohr magnetons per cell; energy relative to the elements = -16.79 eV per formula unit; total energy = -4.001 eV/atom; SG = Pbam, No. 55
1.0
-0.113 -1.122 -4.045
22.555 -2.987 0.197
-3.610 -26.769 7.524
In Bi Pb Se
8 16 16 52
Cartesian
3.858 -9.746 2.594
15.088 -20.009 5.126
3.168 -23.278 6.366
15.778 -6.477 1.354
-1.805 -13.384 3.762
11.278 -1.493 0.098
0.000 0.000 0.000
9.473 -14.878 3.860
1.678 -13.764 1.590
17.154 -17.113 2.085
4.244 -27.727 5.390
14.589 -3.150 -1.715
-0.064 -4.214 1.170
19.010 -25.541 6.550
8.418 -18.960 5.022
10.528 -10.795 2.699
7.701 -3.953 0.881
11.245 -25.802 6.840
0.995 -16.689 4.600
17.951 -13.066 3.121
7.120 -12.838 1.181
11.712 -18.039 2.494
-0.762 -25.417 4.889
19.595 -5.460 -1.215
-0.568 -9.874 0.574
19.400 -21.003 3.101
7.442 -24.558 4.421
11.391 -6.319 -0.747
7.445 -8.347 -0.074
11.387 -22.530 3.749
0.114 -20.999 3.640
18.718 -9.878 0.035
2.903 -7.093 -0.294
15.930 -23.784 3.969
4.830 -20.972 3.500
14.003 -9.905 0.175
3.891 -3.073 -1.437
14.942 -27.803 5.111
4.941 -16.836 2.350
13.891 -14.041 1.325
5.982 -5.375 -0.857
12.850 -25.502 4.532
2.313 -18.513 2.889
16.519 -12.364 0.786
2.882 -4.249 1.097
16.063 -25.506 6.623
5.566 -18.227 4.898
13.380 -11.528 2.822
9.617 -3.187 -1.565
9.216 -27.689 5.240
-0.614 -15.456 2.123
19.446 -15.421 1.552
-0.247 -6.587 -0.346
19.079 -24.290 4.021
8.003 -21.303 3.503
10.829 -9.574 0.172
7.638 -10.333 2.651
11.308 -19.423 5.069
-0.635 -22.861 6.357
19.581 -6.895 1.364
6.847 -14.315 3.778
12.099 -15.440 3.942
-0.927 -26.909 7.488
19.873 -2.846 0.233
1.597 -8.420 2.290
17.349 -21.335 5.430
5.701 -22.587 6.103
13.245 -7.168 1.617
5.219 -7.614 1.965
13.726 -22.141 5.755
2.419 -20.867 5.718
16.527 -8.889 2.002
6.177 -1.411 0.218
12.769 -28.344 7.502
3.139 -14.632 3.969
15.807 -15.123 3.751
9.240 -6.295 1.487
9.706 -23.461 6.234
-1.111 -18.547 5.174
20.056 -11.208 2.546
-0.118 -2.471 -1.491
18.951 -28.406 5.166
8.970 -17.297 2.365
9.863 -13.580 1.309
4.063 -11.874 0.999
14.769 -19.003 2.676
2.443 -25.283 4.762
16.390 -5.594 -1.088
0.222 -11.711 3.241
18.724 -18.044 4.479
6.156 -26.120 7.070
12.790 -3.635 0.650

Entry 2:
PBE In4Bi3S10, optimized geometry; size of the total moment = 0.01 Bohr magnetons per cell; energy relative to the elements = -12.51 eV per formula unit; total energy = -4.207 eV/atom; SG = P1, No. 1
1.0
-2.147 -7.258 -1.709
6.652 -4.008 8.773
-15.279 2.339 9.263
In Bi S
16 12 40
Cartesian
-0.195 -4.414 1.444
-1.493 -3.849 9.515
-2.567 -7.499 8.706
-4.613 -3.968 14.163
-5.643 -7.660 13.257
-9.234 -8.866 14.146
-5.008 -5.135 10.409
-8.138 -5.255 15.055
0.982 -6.267 7.862
-1.275 -8.045 0.573
-6.172 -8.672 9.590
-0.088 -9.897 6.997
4.650 -5.184 7.442
3.576 -8.809 6.590
-0.820 -3.017 5.087
-1.888 -6.657 4.243
-8.087 -2.708 11.320
-8.951 -5.641 10.633
-4.663 -2.286 6.876
-5.781 -5.853 5.941
-11.630 -2.778 8.878
-12.214 -1.529 13.128
-13.298 -5.175 12.268
-4.076 -3.561 2.666
-12.642 -6.470 8.214
-5.138 -7.155 1.828
-8.188 -2.253 4.452
-7.284 0.676 5.215
-2.139 -7.261 -1.698
-11.471 -6.081 5.041
-11.256 -3.516 11.522
-0.631 -6.271 9.966
0.053 -3.797 7.351
-1.027 -7.436 6.516
0.424 -2.664 10.811
2.779 -6.356 5.960
-6.994 -3.547 6.574
-2.528 -1.407 9.200
-7.607 -8.814 11.849
-13.198 -0.677 10.756
-14.278 -4.328 9.893
-3.090 -4.418 5.033
-5.048 -1.562 4.249
-6.190 -5.161 3.364
1.442 -1.522 4.696
-3.094 -3.997 11.867
-4.204 -7.599 10.992
-12.226 -7.199 10.758
-3.538 -5.041 8.309
-9.013 -2.842 14.598
-10.064 -6.437 13.759
1.717 -9.982 5.099
-1.066 -3.643 -0.820
-1.387 -2.288 2.686
-2.458 -5.921 1.830
-4.162 -8.031 4.193
-5.926 0.001 7.442
-10.413 -2.382 5.864
-5.862 -2.687 9.925
-6.957 -6.220 9.047
-12.746 -0.045 7.481
-13.768 -3.682 6.602
-9.292 -1.509 9.206
-10.355 -5.069 8.369
-6.567 -5.171 12.680
0.373 -5.159 3.843
2.851 -5.092 9.338
1.771 -8.726 8.487

Entry 3: